Exercise:
Next, repeat all of the lines below character by character.

File:
+++
Record 1
{"formula": "C4H6ClN4O3", "method": "ωB97M-V with the def2-TZVPD basis set", "e_homo_ev": [-13.4, -13.4], "lumo_ev": [-5.49, -5.49], "energy_ha": -1060.53153, "gap_ev": [7.91, 7.91], "relative_energy_ev": 1.1692, "charge": 1, "species": ["C", "C", "C", "C", "N", "N", "N", "N", "O", "O", "O", "Cl", "H", "H", "H", "H", "H", "H"], "coordinates": [[-1.23, -1.04, -0.87], [1.00, -0.95, 0.07], [1.52, 1.36, -0.62], [-2.21, -0.29, -0.25], [-0.07, -1.51, -0.43], [1.00, 0.45, 0.15], [2.06, -1.73, 0.34], [-2.13, 0.38, 0.94], [-3.05, 0.96, 1.39], [-0.96, 0.38, 1.53], [1.65, 2.64, -0.41], [-3.75, 0.04, -0.97], [-1.47, -1.40, -1.77], [1.91, 1.32, -1.71], [-0.25, 0.40, 0.85], [1.73, -2.66, 0.35], [2.76, -1.23, 0.88], [1.48, 2.88, 0.52]], "nbo_charge": [0.165, 0.636, 0.551, -0.092, -0.497, -0.671, -0.729, 0.484, -0.212, -0.456, -0.581, 0.111, 0.227, 0.208, 0.474, 0.439, 0.430, 0.512]}

---

Record 2
{"formula": "C27H31GePtSi2Te", "method": "ωB97M-V with the def2-TZVPD basis set", "e_homo_ev": [-6.6, -6.5], "multiplicity": 2, "lumo_ev": [-1.90, -1.80], "energy_ha": -4090.51463, "gap_ev": [4.69, 4.69], "species": ["Pt", "C", "Si", "C", "C", "C", "C", "C", "C", "C", "Si", "C", "C", "H", "H", "H", "H", "H", "H", "H", "H", "H", "H", "H", "H", "H", "H", "H", "H", "C", "Ge", "C", "C", "C", "C", "C", "C", "C", "C", "C", "C", "C", "C", "C", "C", "C", "C", "H", "H", "H", "H", "H", "H", "H", "H", "H", "H", "H", "H", "H", "H", "H", "Te"], "coordinates": [[-1.18, -1.19, 1.50], [-2.78, -1.13, -1.93], [-1.32, -1.69, -0.80], [-1.06, -3.48, -1.46], [-3.18, -1.60, 1.94], [-4.43, -2.17, 2.01], [-5.12, -1.91, 3.20], [-4.55, -1.17, 4.23], [-3.27, -0.65, 4.14], [-2.63, -0.88, 2.95], [0.25, 0.51, 2.26], [1.72, 0.19, 3.47], [-0.44, 2.16, 2.99], [-3.67, -1.72, -1.70], [-2.52, -1.30, -2.97], [-3.03, -0.08, -1.82], [-1.88, -4.12, -1.13], [-0.14, -3.94, -1.13], [-1.07, -3.49, -2.55], [-4.86, -2.78, 1.23], [-6.12, -2.31, 3.31], [-5.12, -1.02, 5.14], [-2.81, -0.11, 4.96], [1.34, -0.10, 4.45], [2.31, 1.09, 3.60], [2.38, -0.61, 3.13], [-0.63, 2.05, 4.05], [-1.35, 2.48, 2.50], [0.29, 2.96, 2.87], [-3.53, 2.05, 0.30], [-1.66, 2.05, -0.56], [-0.81, 3.78, 0.05], [0.55, 4.01, -0.13], [1.16, 5.16, 0.35], [0.41, 6.10, 1.04], [-0.94, 5.87, 1.25], [-1.54, 4.73, 0.76], [-1.55, 2.16, -2.60], [-0.26, 2.04, -3.06], [0.04, 2.02, -4.43], [-0.96, 2.07, -5.35], [-2.31, 2.15, -4.94], [-3.36, 2.19, -5.87], [-4.66, 2.26, -5.47], [-4.97, 2.31, -4.10], [-3.96, 2.28, -3.17], [-2.61, 2.20, -3.55], [-4.08, 2.95, 0.04], [-3.41, 2.01, 1.38], [-4.10, 1.18, 0.00], [1.15, 3.27, -0.64], [2.21, 5.32, 0.19], [0.87, 7.00, 1.41], [-1.53, 6.59, 1.81], [-2.60, 4.57, 0.94], [0.55, 1.97, -2.35], [1.07, 1.95, -4.74], [-0.75, 2.03, -6.41], [-3.11, 2.16, -6.92], [-5.46, 2.29, -6.19], [-6.00, 2.36, -3.79], [-4.20, 2.33, -2.12], [0.02, -3.32, 2.45]], "lowdin_spin": [0.040, 0.004, 0.025, 0.016, 0.001, -0.001, -0.002, -0.002, -0.001, 0.003, 0.009, 0.012, 0.000, 0.000, 0.000, 0.000, 0.001, 0.007, 0.000, 0.000, 0.000, 0.000, 0.000, 0.002, 0.000, 0.003, 0.000, 0.000, 0.000, 0.005, 0.027, 0.005, 0.001, 0.000, 0.001, 0.000, 0.001, 0.005, 0.002, 0.000, 0.001, 0.000, 0.000, 0.000, 0.000, 0.000, 0.001, 0.001, 0.000, 0.000, 0.000, 0.000, 0.000, 0.000, 0.000, 0.000, 0.000, 0.000, 0.000, 0.000, 0.000, 0.000, 0.831]}

---

Record 3
+++

Completed:
Record 1
{"formula": "C4H6ClN4O3", "method": "ωB97M-V with the def2-TZVPD basis set", "e_homo_ev": [-13.4, -13.4], "lumo_ev": [-5.49, -5.49], "energy_ha": -1060.53153, "gap_ev": [7.91, 7.91], "relative_energy_ev": 1.1692, "charge": 1, "species": ["C", "C", "C", "C", "N", "N", "N", "N", "O", "O", "O", "Cl", "H", "H", "H", "H", "H", "H"], "coordinates": [[-1.23, -1.04, -0.87], [1.00, -0.95, 0.07], [1.52, 1.36, -0.62], [-2.21, -0.29, -0.25], [-0.07, -1.51, -0.43], [1.00, 0.45, 0.15], [2.06, -1.73, 0.34], [-2.13, 0.38, 0.94], [-3.05, 0.96, 1.39], [-0.96, 0.38, 1.53], [1.65, 2.64, -0.41], [-3.75, 0.04, -0.97], [-1.47, -1.40, -1.77], [1.91, 1.32, -1.71], [-0.25, 0.40, 0.85], [1.73, -2.66, 0.35], [2.76, -1.23, 0.88], [1.48, 2.88, 0.52]], "nbo_charge": [0.165, 0.636, 0.551, -0.092, -0.497, -0.671, -0.729, 0.484, -0.212, -0.456, -0.581, 0.111, 0.227, 0.208, 0.474, 0.439, 0.430, 0.512]}

---

Record 2
{"formula": "C27H31GePtSi2Te", "method": "ωB97M-V with the def2-TZVPD basis set", "e_homo_ev": [-6.6, -6.5], "multiplicity": 2, "lumo_ev": [-1.90, -1.80], "energy_ha": -4090.51463, "gap_ev": [4.69, 4.69], "species": ["Pt", "C", "Si", "C", "C", "C", "C", "C", "C", "C", "Si", "C", "C", "H", "H", "H", "H", "H", "H", "H", "H", "H", "H", "H", "H", "H", "H", "H", "H", "C", "Ge", "C", "C", "C", "C", "C", "C", "C", "C", "C", "C", "C", "C", "C", "C", "C", "C", "H", "H", "H", "H", "H", "H", "H", "H", "H", "H", "H", "H", "H", "H", "H", "Te"], "coordinates": [[-1.18, -1.19, 1.50], [-2.78, -1.13, -1.93], [-1.32, -1.69, -0.80], [-1.06, -3.48, -1.46], [-3.18, -1.60, 1.94], [-4.43, -2.17, 2.01], [-5.12, -1.91, 3.20], [-4.55, -1.17, 4.23], [-3.27, -0.65, 4.14], [-2.63, -0.88, 2.95], [0.25, 0.51, 2.26], [1.72, 0.19, 3.47], [-0.44, 2.16, 2.99], [-3.67, -1.72, -1.70], [-2.52, -1.30, -2.97], [-3.03, -0.08, -1.82], [-1.88, -4.12, -1.13], [-0.14, -3.94, -1.13], [-1.07, -3.49, -2.55], [-4.86, -2.78, 1.23], [-6.12, -2.31, 3.31], [-5.12, -1.02, 5.14], [-2.81, -0.11, 4.96], [1.34, -0.10, 4.45], [2.31, 1.09, 3.60], [2.38, -0.61, 3.13], [-0.63, 2.05, 4.05], [-1.35, 2.48, 2.50], [0.29, 2.96, 2.87], [-3.53, 2.05, 0.30], [-1.66, 2.05, -0.56], [-0.81, 3.78, 0.05], [0.55, 4.01, -0.13], [1.16, 5.16, 0.35], [0.41, 6.10, 1.04], [-0.94, 5.87, 1.25], [-1.54, 4.73, 0.76], [-1.55, 2.16, -2.60], [-0.26, 2.04, -3.06], [0.04, 2.02, -4.43], [-0.96, 2.07, -5.35], [-2.31, 2.15, -4.94], [-3.36, 2.19, -5.87], [-4.66, 2.26, -5.47], [-4.97, 2.31, -4.10], [-3.96, 2.28, -3.17], [-2.61, 2.20, -3.55], [-4.08, 2.95, 0.04], [-3.41, 2.01, 1.38], [-4.10, 1.18, 0.00], [1.15, 3.27, -0.64], [2.21, 5.32, 0.19], [0.87, 7.00, 1.41], [-1.53, 6.59, 1.81], [-2.60, 4.57, 0.94], [0.55, 1.97, -2.35], [1.07, 1.95, -4.74], [-0.75, 2.03, -6.41], [-3.11, 2.16, -6.92], [-5.46, 2.29, -6.19], [-6.00, 2.36, -3.79], [-4.20, 2.33, -2.12], [0.02, -3.32, 2.45]], "lowdin_spin": [0.040, 0.004, 0.025, 0.016, 0.001, -0.001, -0.002, -0.002, -0.001, 0.003, 0.009, 0.012, 0.000, 0.000, 0.000, 0.000, 0.001, 0.007, 0.000, 0.000, 0.000, 0.000, 0.000, 0.002, 0.000, 0.003, 0.000, 0.000, 0.000, 0.005, 0.027, 0.005, 0.001, 0.000, 0.001, 0.000, 0.001, 0.005, 0.002, 0.000, 0.001, 0.000, 0.000, 0.000, 0.000, 0.000, 0.001, 0.001, 0.000, 0.000, 0.000, 0.000, 0.000, 0.000, 0.000, 0.000, 0.000, 0.000, 0.000, 0.000, 0.000, 0.000, 0.831]}

---

Record 3